• Request:
The reader should work out how many lines further below have the word "Maximum" in them; a number is enough.
• File:
- - -
(1)
A cluster of 22 separate species, C34H118N6O22 in total in a non-equilibrium geometry, computed with ωB97M-V/def2-TZVPD.

Output
Multiplicity ... 1
Total charge ... 0
Orbital gap ... 9.174 eV
Maximum force ... 3.355 eV Å⁻¹

XYZ file:
```
180
Properties=species:S:1:pos:R:3:mulliken_charge:R:1
C 2.470 -3.831 -1.613 -0.517
C 1.994 -4.212 -2.982 -0.006
C 0.783 -5.166 -2.950 -0.032
O 0.406 -5.493 -4.285 -0.385
C -0.951 -5.884 -4.416 -0.482
N 1.785 -2.979 -3.876 -0.351
H 3.395 -3.211 -1.709 0.291
H 2.712 -4.654 -0.939 0.563
H 1.734 -3.218 -1.144 -0.726
H 2.773 -4.774 -3.460 0.444
H -0.004 -4.630 -2.415 -0.147
H 0.960 -6.120 -2.424 0.426
H -1.150 -5.566 -5.392 0.310
H -1.565 -5.391 -3.677 0.051
H -1.071 -6.972 -4.527 0.270
H 0.942 -2.389 -3.648 -0.173
H 1.634 -3.330 -4.801 0.407
C -1.678 4.293 -1.791 -1.628
C -1.290 2.996 -2.476 1.861
C -0.719 3.303 -3.869 -1.815
O -0.288 2.064 -4.464 0.586
C -0.088 2.292 -5.861 -1.153
N -0.293 2.237 -1.730 1.974
H -2.057 4.123 -0.758 0.096
H -2.394 4.889 -2.332 0.498
H -0.812 4.972 -1.664 0.303
H -2.196 2.433 -2.660 -0.682
H 0.065 4.043 -3.753 0.539
H -1.509 3.806 -4.467 0.382
H -1.079 2.361 -6.362 0.296
H 0.589 1.530 -6.326 0.195
H 0.403 3.246 -5.954 0.427
H -0.482 2.155 -0.707 -0.674
H -0.088 1.265 -1.997 -1.179
C -2.715 -2.555 -5.182 -0.456
C -2.692 -1.585 -6.364 0.137
C -2.967 -0.124 -5.867 -0.136
O -4.106 -0.115 -5.064 -0.439
C -4.402 1.138 -4.524 -0.546
N -1.440 -1.659 -7.087 -0.760
H -3.723 -2.976 -4.926 0.290
H -2.181 -2.125 -4.315 -0.269
H -2.122 -3.443 -5.417 0.089
H -3.444 -1.859 -7.128 0.468
H -3.061 0.613 -6.657 0.529
H -2.026 0.137 -5.281 -0.197
H -3.670 1.541 -3.805 -0.024
H -5.351 1.056 -4.020 0.397
H -4.424 1.884 -5.319 0.498
H -0.735 -1.453 -6.422 0.229
H -1.507 -1.006 -7.850 0.297
C -3.116 0.937 3.586 -0.518
C -2.621 1.881 4.726 0.411
C -2.424 1.271 6.080 -0.717
O -1.988 2.199 7.028 -0.323
C -1.564 1.714 8.339 -0.725
N -1.436 2.566 4.349 -0.335
H -2.464 0.102 3.440 -0.338
H -3.131 1.531 2.637 -0.144
H -4.112 0.625 3.823 0.667
H -3.481 2.607 4.868 0.244
H -1.741 0.370 5.922 0.197
H -3.345 0.800 6.489 0.457
H -0.669 1.082 8.267 0.278
H -2.390 1.164 8.769 0.307
H -1.348 2.565 8.950 0.257
H -1.008 3.113 5.074 0.331
H -0.784 1.855 4.093 -0.097
C -6.369 3.632 -1.304 -1.532
C -6.361 2.159 -0.905 0.692
C -4.905 1.891 -0.541 0.016
O -4.587 0.611 -0.074 -0.641
C -3.181 0.357 -0.010 0.646
N -7.322 1.892 0.178 -0.845
H -7.413 3.968 -1.277 0.484
H -6.100 3.780 -2.325 0.317
H -5.783 4.245 -0.606 0.335
H -6.684 1.578 -1.732 0.143
H -4.514 2.684 0.127 0.287
H -4.371 2.153 -1.452 -0.307
H -2.634 1.026 0.667 -0.407
H -2.669 0.468 -0.972 -0.036
H -3.138 -0.704 0.265 0.159
H -7.119 2.489 0.962 0.315
H -7.100 1.001 0.668 0.275
C 4.374 3.123 6.572 -1.411
C 3.747 3.108 5.190 0.214
C 4.469 2.219 4.124 -0.281
O 4.389 0.808 4.187 -0.199
C 5.050 0.174 5.286 -0.481
N 2.317 2.836 5.182 -0.432
H 5.312 3.697 6.441 0.321
H 4.421 2.142 7.033 0.377
H 3.670 3.706 7.156 0.417
H 3.850 4.078 4.745 0.330
H 5.542 2.477 4.124 0.442
H 4.052 2.450 3.159 -0.108
H 4.861 -0.884 5.178 0.077
H 4.629 0.548 6.266 0.119
H 6.169 0.410 5.350 0.283
H 2.020 2.054 5.751 0.258
H 1.978 2.734 4.234 0.027
O -1.044 3.161 1.215 -0.630
H -0.377 3.844 1.001 0.164
H -1.206 3.246 2.190 0.288
O 0.846 1.639 2.299 0.670
H 0.262 2.253 1.811 0.054
H 1.679 1.604 1.833 -0.109
O 1.566 -0.585 3.763 -0.278
H 2.527 -0.449 3.971 0.081
H 1.367 0.243 3.303 0.170
O -5.053 -1.478 -2.651 -0.820
H -4.990 -1.011 -1.781 0.202
H -4.667 -0.897 -3.291 0.500
O 1.198 4.837 0.614 -0.636
H 1.777 5.494 1.032 0.294
H 1.657 4.532 -0.172 0.298
O -0.230 -0.647 -3.868 0.635
H -0.181 0.318 -3.855 -0.175
H -0.282 -0.858 -2.899 0.086
C 2.898 3.464 -2.973 -0.384
O 2.018 4.040 -2.028 -0.568
H 2.334 2.959 -3.799 0.019
H 3.522 4.266 -3.338 0.446
H 3.628 2.708 -2.604 0.025
H 1.300 3.390 -1.859 0.097
C 3.610 0.383 -4.357 -0.178
O 4.133 -0.830 -3.991 -0.601
H 4.350 1.175 -4.028 0.294
H 3.363 0.526 -5.410 0.256
H 2.722 0.624 -3.726 -0.221
H 3.369 -1.488 -4.056 0.396
- - -
• Outcome:
1